Please repeat only the lines below with the word "one" in them.

A relaxed structure of Li9Mn2Co5O16, computed with PBE with a Hubbard U. Values from VASP.

Cell and atoms, written as Quantum ESPRESSO input:
```
&SYSTEM
  ibrav = 0, nat = 32, ntyp = 4
/
ATOMIC_SPECIES
Li 6.94 Li.upf
Mn 54.94 Mn.upf
Co 58.93 Co.upf
O 16.00 O.upf
CELL_PARAMETERS angstrom
5.184 0.000 0.000
0.000 11.335 0.000
-1.994 0.000 4.816
ATOMIC_POSITIONS crystal
Li 0.000 0.000 0.000
Li 0.000 0.120 0.500
Li 0.000 0.243 0.000
Li 0.000 0.372 0.500
Li 0.000 0.494 0.000
Li 0.000 0.622 0.500
Li 0.000 0.750 0.000
Li 0.000 0.872 0.500
Li 0.500 0.122 0.000
Mn 0.500 0.246 0.500
Mn 0.500 0.622 0.000
Co 0.500 0.370 0.000
Co 0.500 0.497 0.500
Co 0.500 0.749 0.500
Co 0.500 0.875 0.000
Co 0.500 0.997 0.500
O 0.263 0.120 0.282
O 0.267 0.371 0.271
O 0.269 0.874 0.277
O 0.270 0.623 0.281
O 0.271 0.495 0.769
O 0.271 0.750 0.771
O 0.289 0.252 0.743
O 0.295 0.990 0.740
O 0.705 0.990 0.260
O 0.711 0.252 0.257
O 0.729 0.495 0.231
O 0.729 0.750 0.229
O 0.730 0.623 0.719
O 0.731 0.874 0.723
O 0.733 0.371 0.729
O 0.737 0.120 0.718
```

Properties
Its total DFT energy (no corrections) is -5.782 eV/atom. Its polymorph energy (0 for the lowest one) is 0.072 eV per atom. For the density, the calculation gives 4.24 g cm⁻³.

Its total DFT energy (no corrections) is -5.782 eV/atom. Its polymorph energy (0 for the lowest one) is 0.072 eV per atom. For the density, the calculation gives 4.24 g cm⁻³.